[Entries]
~~~
1.
Material: TaNiP2Cl
Method: DFT, GGA-PBE
State: relaxed

```
TaNiP2Cl
1.0
-1.1537 1.5710 4.4407
-3.5594 -3.2852 0.2375
3.0091 -3.1239 1.8869
Ta P Cl Ni
1 2 1 1
direct
0.0000 0.0000 0.0000 Ta
0.0000 0.5000 0.0000 P
0.5000 0.0000 0.0000 P
0.0000 0.0000 0.5000 Cl
0.5000 0.5000 0.5000 Ni
```

Summary:
E_form (uncorrected) ... 0.581 eV/atom
Space group ... P4/mmm, No. 123
Offset from the most stable computed form ... 0.00 eV per formula unit

***

2.
Material: TaNiPCl2
Method: DFT, GGA-PBE
State: relaxed

```
TaNiPCl2
1.0
-4.4840 0.0089 -1.5301
0.9747 -3.6355 -2.8776
-1.2422 -3.1997 3.6217
P Cl Ni Ta
1 2 1 1
direct
0.0000 0.0000 0.5000 P
0.0000 0.5000 0.0000 Cl
0.5000 0.0000 0.0000 Cl
0.5000 0.5000 0.5000 Ni
0.0000 0.0000 0.0000 Ta
```

Summary:
E_form (uncorrected) ... 0.342 eV/atom
Space group ... P4/mmm, No. 123
Offset from the most stable computed form ... 0.00 eV per formula unit

***

3.
Material: TaNiP2Cl
Method: DFT, GGA-PBE
State: relaxed

```
TaNiP2Cl
1.0
4.3943 0.0000 0.0000
0.0000 4.3943 0.0000
0.0000 0.0000 4.3429
Cl P Ta Ni
1 2 1 1
direct
0.0000 0.0000 0.5000 Cl
0.0000 0.5000 0.0000 P
0.5000 0.0000 0.0000 P
0.5000 0.5000 0.5000 Ta
0.0000 0.0000 0.0000 Ni
```

Summary:
E_form (uncorrected) ... 0.707 eV/atom
Space group ... P4/mmm, No. 123
Offset from the most stable computed form ... 0.63 eV per formula unit

***

4.
Material: TaNiPCl2
Method: DFT, GGA-PBE
State: relaxed

```
TaNiPCl2
1.0
4.3297 0.0000 0.0000
0.0000 4.3297 0.0000
0.0000 0.0000 4.8122
Ni Ta Cl P
1 1 2 1
direct
0.0000 0.0000 0.0000 Ni
0.5000 0.5000 0.5000 Ta
0.0000 0.5000 0.0000 Cl
0.5000 0.0000 0.0000 Cl
0.0000 0.0000 0.5000 P
```

Summary:
E_form (uncorrected) ... 0.641 eV/atom
Space group ... P4/mmm, No. 123
Offset from the most stable computed form ... 1.50 eV per formula unit

***

5.
Material: TcNiP2Cl
Method: DFT, GGA-PBE
State: relaxed

```
TcNiP2Cl
1.0
-3.0328 -0.1006 3.3268
-1.5668 -3.9277 -1.5471
3.3221 -2.4886 2.9534
Cl Ni P Tc
1 1 2 1
direct
0.0000 0.0000 0.5000 Cl
0.5000 0.5000 0.5000 Ni
0.5000 0.0000 0.0000 P
0.0000 0.5000 0.0000 P
0.0000 0.0000 0.0000 Tc
```

Summary:
E_form (uncorrected) ... 0.754 eV/atom
Space group ... P4/mmm, No. 123
Offset from the most stable computed form ... 0.00 eV per formula unit

***

6.
Material: TcNiP2Cl
Method: DFT, GGA-PBE
State: relaxed

```
TcNiP2Cl
1.0
-2.1367 3.6913 -1.1088
-2.0560 -0.0193 3.8978
3.3642 2.4841 1.7869
Tc Ni P Cl
1 1 2 1
direct
0.5000 0.5000 0.5000 Tc
0.0000 0.0000 0.0000 Ni
0.0000 0.5000 0.0000 P
0.5000 0.0000 0.0000 P
0.0000 0.0000 0.5000 Cl
```

Summary:
E_form (uncorrected) ... 0.852 eV/atom
Space group ... P4/mmm, No. 123
Offset from the most stable computed form ... 0.49 eV per formula unit

***

7.
Material: TlNiP2Cl
Method: DFT, GGA-PBE
State: relaxed

```
TlNiP2Cl
1.0
4.2370 0.0000 0.0000
0.0000 4.2370 0.0000
0.0000 0.0000 8.3893
Tl Ni P Cl
1 1 2 1
direct
0.5000 0.5000 0.5000 Tl
0.0000 0.0000 0.0000 Ni
0.0000 0.5000 0.0000 P
0.5000 0.0000 0.0000 P
0.0000 0.0000 0.5000 Cl
```

Summary:
E_form (uncorrected) ... 0.071 eV/atom
Space group ... P4/mmm, No. 123
Offset from the most stable computed form ... 0.00 eV per formula unit

***

8.
Material: TlNiP2Cl
Method: DFT, GGA-PBE
State: relaxed

```
TlNiP2Cl
1.0
-3.4566 2.1285 3.1228
3.0591 -0.9092 4.0058
2.3300 4.7970 -0.6906
P Ni Tl Cl
2 1 1 1
direct
0.0000 0.5000 0.0000 P
0.5000 0.0000 0.0000 P
0.5000 0.5000 0.5000 Ni
0.0000 0.0000 0.0000 Tl
0.0000 0.0000 0.5000 Cl
```

Summary:
E_form (uncorrected) ... 1.421 eV/atom
Space group ... P4/mmm, No. 123
Offset from the most stable computed form ... 6.75 eV per formula unit


[1]
Entry from Alexandria: a geometry-optimized Mn2IrWC structure (GGA-PBE).

Properties
- Spin magnetization: 1.029 μB/cell
- Formation energy from the elements: 22 meV/atom
- E: -9.8533 eV per atom

The structure in CIF format:
```
data_Mn2IrWC
_cell_length_a 3.821
_cell_length_b 3.821
_cell_length_c 4.095
_cell_angle_alpha 90.00
_cell_angle_beta 90.00
_cell_angle_gamma 90.00
~~~
[Wanted]
The reader should search the data further up for the word "Tl" and retype each line that has it.
[Reply]
Tl Ni P Cl
0.5000 0.5000 0.5000 Tl
P Ni Tl Cl
0.0000 0.0000 0.0000 Tl